Contents.
=====
[1]
Computed, not measured: a molecular structure, C46H48N5O6RuS3 in a non-equilibrium geometry, with the ωB97M-V functional and the def2-TZVPD basis.

CARTESIAN COORDINATES (ANGSTROEM)
Ru  0.3987  0.8822  -0.0524
O  -0.3381  0.5735  6.9741
C  -1.0975  -0.1609  5.9851
C  -0.9960  0.4898  4.6222
C  -1.8507  -0.0486  3.6201
C  -1.5288  0.1543  2.2825
N  -0.3799  0.8108  1.9404
C  0.2068  1.6435  2.8491
C  -0.0715  1.4574  4.2271
C  1.2054  2.5448  2.2513
C  1.9922  3.4143  3.0292
C  2.9292  4.2275  2.4378
C  3.8505  5.0558  3.3059
O  4.7089  4.2938  4.1569
C  3.0996  4.1871  1.0420
C  2.2956  3.3034  0.3307
N  1.4154  2.4842  0.9041
H  -0.2659  0.0451  7.8278
H  -2.1619  -0.1879  6.2942
H  -0.8094  -1.2168  5.8847
H  -2.7489  -0.5778  3.9037
H  -2.1086  -0.2736  1.4524
H  0.5357  1.9432  5.0097
H  1.8745  3.3749  4.1261
H  3.2745  5.6715  4.0430
H  4.4109  5.7401  2.6732
H  5.2511  3.6575  3.6383
H  3.8444  4.7959  0.5285
H  2.3901  3.2823  -0.7674
O  -3.6728  0.1360  -0.3594
S  -5.0746  -0.2100  -0.8080
C  -5.6983  -1.5380  0.3459
C  -5.1640  -2.9654  0.1824
C  -3.7115  -3.1314  0.6376
C  -2.8637  -3.9572  -0.3085
S  -0.9915  -3.7588  -0.2006
O  -0.8116  -2.2452  -0.1555
C  -0.4269  -4.3742  1.3803
C  0.3131  -3.4997  2.1823
C  0.8998  -4.0336  3.3215
C  0.6255  -5.3299  3.7549
C  -0.0744  -6.2043  2.9187
C  -0.5601  -5.7414  1.6843
C  -4.8366  -1.1084  -2.3213
C  -3.6233  -1.3832  -2.9324
C  -3.6274  -1.8375  -4.2414
C  -4.8331  -1.9206  -4.9604
C  -6.0473  -1.5661  -4.3475
C  -6.0584  -1.2393  -3.0031
H  -6.8146  -1.5634  0.2856
H  -5.4677  -1.1093  1.3453
H  -5.2501  -3.2525  -0.8670
H  -5.8014  -3.6388  0.7666
H  -3.6963  -3.5962  1.6247
H  -3.2484  -2.1712  0.7620
H  -3.1596  -3.6732  -1.3324
H  -3.0538  -4.9997  -0.1378
H  0.5066  -2.5069  1.8287
H  1.5550  -3.4151  3.9440
H  1.0238  -5.6596  4.7237
H  -0.2044  -7.2384  3.2210
H  -0.9608  -6.4175  0.9160
H  -2.7211  -1.1509  -2.3620
H  -2.7131  -2.0592  -4.7867
H  -4.7949  -2.1555  -6.0211
H  -6.9728  -1.5270  -4.9683
H  -7.0013  -1.0108  -2.4684
C  8.1301  0.4173  -2.4684
C  6.7685  0.1012  -1.9587
C  6.4125  -1.2012  -1.5621
C  5.1057  -1.4868  -1.1597
C  4.1560  -0.4769  -1.1442
C  4.4957  0.8744  -1.3965
C  5.8055  1.1173  -1.7985
S  2.5325  -0.9215  -0.6399
O  2.3678  -2.3629  -0.7364
O  2.1730  -0.2859  0.6767
N  1.3543  0.0032  -1.5326
C  1.0649  -0.2175  -2.8928
C  1.9644  -0.9687  -3.7204
C  1.5664  -1.2298  -5.0250
C  0.3086  -0.7720  -5.4897
C  -0.4339  -0.0480  -4.5717
N  -0.1099  0.2460  -3.2913
H  8.3417  -0.1303  -3.3865
H  8.9378  0.2380  -1.7761
H  8.1561  1.4971  -2.7111
H  7.1569  -2.0056  -1.5883
H  4.7645  -2.5089  -0.9651
H  3.7219  1.6323  -1.4128
H  6.0571  2.1482  -1.9976
H  2.9248  -1.3141  -3.2664
H  2.1477  -1.8149  -5.7418
H  0.0139  -0.9391  -6.5278
H  -1.3945  0.3383  -4.9159
C  -1.2855  6.3821  -0.8578
C  -1.3858  4.8818  -0.7748
C  -1.8846  4.2085  0.3532
C  -1.7343  2.8413  0.4423
N  -1.0238  2.1973  -0.5513
C  -0.8516  2.7962  -1.7490
C  -0.9090  4.1906  -1.8741
H  -0.2623  6.6931  -1.0598
H  -1.6928  6.8409  0.0619
H  -1.8956  6.7919  -1.6800
H  -2.3997  4.7473  1.1214
H  -2.1341  2.2153  1.2127
H  -0.6502  2.1022  -2.5764
H  -0.6951  4.6687  -2.8315

Output
**Multiplicity**: 6
**ΔE to the lowest compared entry with this formula, charge and spin**: 159.8 kJ/mol
**Charge**: +2
**Molar mass**: 964.190 Da
**HOMO level (alpha / beta)**: -8.82 / -12.43 eV
**LUMO level (alpha / beta)**: -5.927 / -6.863 eV

---

[2]
Computed, not measured: a molecular structure, C46H49CoN7OS in a non-equilibrium geometry, with the ωB97M-V functional and the def2-TZVPD basis.

CARTESIAN COORDINATES (ANGSTROEM)
Co  0.5930  1.3950  0.2733
C  1.1198  2.9724  2.8084
N  0.7001  1.5871  2.5378
C  -0.6607  1.2313  2.9824
C  -1.6520  1.6473  1.9442
N  -1.3053  1.7639  0.6887
C  -2.4440  2.1564  -0.0057
C  -2.6364  2.4415  -1.3534
C  -3.9041  2.8145  -1.7438
C  -4.9632  2.9016  -0.8242
C  -4.7821  2.6264  0.5153
C  -3.4974  2.2587  0.9007
N  -2.9561  1.9260  2.1389
=====
Request.
The reader should start at the top of the notes further above and retype each line, ending with the one that has "-1.0975".
Done.
[1]
Computed, not measured: a molecular structure, C46H48N5O6RuS3 in a non-equilibrium geometry, with the ωB97M-V functional and the def2-TZVPD basis.

CARTESIAN COORDINATES (ANGSTROEM)
Ru  0.3987  0.8822  -0.0524
O  -0.3381  0.5735  6.9741
C  -1.0975  -0.1609  5.9851